Density functional theory data (GGA-PBE) for a geometry-optimized GeAs structure.

a b c (Å): 16.6496 3.8333 9.9023
angles (deg): 90.00 104.82 90.00
Space group C2/m (No. 12)
Symmetry-distinct sites (fractional):
Ge: 0.0674 0.0000 0.0914 (multiplicity 4)
Ge: 0.1307 0.5000 0.4203 (multiplicity 4)
Ge: 0.2402 0.5000 0.2900 (multiplicity 4)
As: 0.0367 0.0000 0.3274 (multiplicity 4)
As: 0.1535 0.5000 0.0461 (multiplicity 4)
As: 0.1611 0.5000 0.6798 (multiplicity 4)

=====

Density functional theory data (GGA-PBE) for a geometry-optimized Ge3As structure.

a b c (Å): 6.7763 6.7763 6.7763
angles (deg): 90.00 90.00 90.00
Space group Fm-3m (No. 225)
Symmetry-distinct sites (fractional):
Ge: 0.0000 0.0000 0.0000 (multiplicity 4)
Ge: 0.2500 0.2500 0.2500 (multiplicity 8)
As: 0.0000 0.0000 0.5000 (multiplicity 4)

Computed properties:
Magnetization in μB per formula unit: 0.00

=====

Density functional theory data (GGA-PBE) for a geometry-optimized GeAs3 structure.

a b c (Å): 3.8141 3.8141 11.1218
angles (deg): 90.00 90.00 90.00
Space group I4/mmm (No. 139)
Symmetry-distinct sites (fractional):
Ge: 0.0000 0.0000 0.0000 (multiplicity 2)
As: 0.0000 0.0000 0.5000 (multiplicity 2)
As: 0.0000 0.5000 0.2500 (multiplicity 4)

Computed properties:
Magnetization in μB per formula unit: 0.00

=====

Density functional theory data (GGA-PBE) for a geometry-optimized GeAs3 structure.

a b c (Å): 3.7702 3.7702 21.9532
angles (deg): 90.00 90.00 120.00
Space group R3m (No. 160, hexagonal axes)
Symmetry-distinct sites (fractional):
Ge: 0.0000 0.0000 0.0000 (multiplicity 3)
As: 0.0000 0.0000 0.2259 (multiplicity 3)
As: 0.0000 0.0000 0.4980 (multiplicity 3)
As: 0.0000 0.0000 0.7210 (multiplicity 3)

Computed properties:
Magnetization in μB per formula unit: 0.01

=====

Density functional theory data (GGA-PBE) for a geometry-optimized Ge12As11I4 structure.

a b c (Å): 11.1557 11.1557 11.1557
angles (deg): 90.00 90.00 90.00
Space group Pm-3n (No. 223)
Symmetry-distinct sites (fractional):
Ge: 0.0000 0.1184 0.3104 (multiplicity 24)
As: 0.0000 0.2500 0.5000 (multiplicity 6)
As: 0.1856 0.1856 0.1856 (multiplicity 16)
I: 0.0000 0.0000 0.0000 (multiplicity 2)
I: 0.0000 0.5000 0.2500 (multiplicity 6)

Computed properties:
Magnetization in μB per formula unit: 0.00

=====

Density functional theory data (GGA-PBE) for a geometry-optimized Ge19As4I4 structure.

a b c (Å): 10.8364 10.8364 10.8364
angles (deg): 90.00 90.00 90.00
Space group P-43n (No. 218)
Symmetry-distinct sites (fractional):
Ge: 0.0000 0.2500 0.5000 (multiplicity 6)
Ge: 0.0027 0.1173 0.3097 (multiplicity 24)
Ge: 0.1825 0.1825 0.1825 (multiplicity 8)
As: 0.1843 0.1843 0.8157 (multiplicity 8)
I: 0.0000 0.0000 0.0000 (multiplicity 2)
I: 0.0000 0.5000 0.2500 (multiplicity 6)

Computed properties:
Magnetization in μB per formula unit: 0.00

=====

Density functional theory data (GGA-PBE) for a geometry-optimized Rb2InGe4As7 structure.

a b c (Å): 16.9959 3.8965 12.6639
angles (deg): 90.00 90.15 90.00
Space group Cm (No. 8)
Symmetry-distinct sites (fractional):
Rb: 0.0000 0.0000 0.0000 (multiplicity 2)
Rb: 0.0336 0.5000 0.4809 (multiplicity 2)
In: 0.3011 0.5000 0.4240 (multiplicity 2)
Ge: 0.2391 0.5000 0.9357 (multiplicity 2)
Ge: 0.2434 0.0000 0.1989 (multiplicity 2)
Ge: 0.2984 0.0000 0.7057 (multiplicity 2)
Ge: 0.4285 0.5000 0.2941 (multiplicity 2)
As: 0.1236 0.5000 0.8074 (multiplicity 2)
As: 0.1522 0.0000 0.6876 (multiplicity 2)
As: 0.1739 0.5000 0.1108 (multiplicity 2)
As: 0.1959 0.0000 0.3830 (multiplicity 2)
As: 0.3264 0.0000 0.8982 (multiplicity 2)
As: 0.3642 0.5000 0.6242 (multiplicity 2)
As: 0.3886 0.0000 0.1780 (multiplicity 2)

Computed properties:
Magnetization in μB per formula unit: 0.00

=====

Density functional theory data (GGA-PBE) for a geometry-optimized ZnInGeAs3 structure.

a b c (Å): 13.7999 4.1676 5.8928
angles (deg): 90.00 115.14 90.00
Space group Cm (No. 8)
Symmetry-distinct sites (fractional):
Zn: 0.0000 0.0000 0.0000 (multiplicity 2)
In: 0.3342 0.0000 0.3210 (multiplicity 2)

The reader should duplicate all of the calculation results further above verbatim.

Density functional theory data (GGA-PBE) for a geometry-optimized GeAs structure.

a b c (Å): 16.6496 3.8333 9.9023
angles (deg): 90.00 104.82 90.00
Space group C2/m (No. 12)
Symmetry-distinct sites (fractional):
Ge: 0.0674 0.0000 0.0914 (multiplicity 4)
Ge: 0.1307 0.5000 0.4203 (multiplicity 4)
Ge: 0.2402 0.5000 0.2900 (multiplicity 4)
As: 0.0367 0.0000 0.3274 (multiplicity 4)
As: 0.1535 0.5000 0.0461 (multiplicity 4)
As: 0.1611 0.5000 0.6798 (multiplicity 4)

=====

Density functional theory data (GGA-PBE) for a geometry-optimized Ge3As structure.

a b c (Å): 6.7763 6.7763 6.7763
angles (deg): 90.00 90.00 90.00
Space group Fm-3m (No. 225)
Symmetry-distinct sites (fractional):
Ge: 0.0000 0.0000 0.0000 (multiplicity 4)
Ge: 0.2500 0.2500 0.2500 (multiplicity 8)
As: 0.0000 0.0000 0.5000 (multiplicity 4)

Computed properties:
Magnetization in μB per formula unit: 0.00

=====

Density functional theory data (GGA-PBE) for a geometry-optimized GeAs3 structure.

a b c (Å): 3.8141 3.8141 11.1218
angles (deg): 90.00 90.00 90.00
Space group I4/mmm (No. 139)
Symmetry-distinct sites (fractional):
Ge: 0.0000 0.0000 0.0000 (multiplicity 2)
As: 0.0000 0.0000 0.5000 (multiplicity 2)
As: 0.0000 0.5000 0.2500 (multiplicity 4)

Computed properties:
Magnetization in μB per formula unit: 0.00

=====

Density functional theory data (GGA-PBE) for a geometry-optimized GeAs3 structure.

a b c (Å): 3.7702 3.7702 21.9532
angles (deg): 90.00 90.00 120.00
Space group R3m (No. 160, hexagonal axes)
Symmetry-distinct sites (fractional):
Ge: 0.0000 0.0000 0.0000 (multiplicity 3)
As: 0.0000 0.0000 0.2259 (multiplicity 3)
As: 0.0000 0.0000 0.4980 (multiplicity 3)
As: 0.0000 0.0000 0.7210 (multiplicity 3)

Computed properties:
Magnetization in μB per formula unit: 0.01

=====

Density functional theory data (GGA-PBE) for a geometry-optimized Ge12As11I4 structure.

a b c (Å): 11.1557 11.1557 11.1557
angles (deg): 90.00 90.00 90.00
Space group Pm-3n (No. 223)
Symmetry-distinct sites (fractional):
Ge: 0.0000 0.1184 0.3104 (multiplicity 24)
As: 0.0000 0.2500 0.5000 (multiplicity 6)
As: 0.1856 0.1856 0.1856 (multiplicity 16)
I: 0.0000 0.0000 0.0000 (multiplicity 2)
I: 0.0000 0.5000 0.2500 (multiplicity 6)

Computed properties:
Magnetization in μB per formula unit: 0.00

=====

Density functional theory data (GGA-PBE) for a geometry-optimized Ge19As4I4 structure.

a b c (Å): 10.8364 10.8364 10.8364
angles (deg): 90.00 90.00 90.00
Space group P-43n (No. 218)
Symmetry-distinct sites (fractional):
Ge: 0.0000 0.2500 0.5000 (multiplicity 6)
Ge: 0.0027 0.1173 0.3097 (multiplicity 24)
Ge: 0.1825 0.1825 0.1825 (multiplicity 8)
As: 0.1843 0.1843 0.8157 (multiplicity 8)
I: 0.0000 0.0000 0.0000 (multiplicity 2)
I: 0.0000 0.5000 0.2500 (multiplicity 6)

Computed properties:
Magnetization in μB per formula unit: 0.00

=====

Density functional theory data (GGA-PBE) for a geometry-optimized Rb2InGe4As7 structure.

a b c (Å): 16.9959 3.8965 12.6639
angles (deg): 90.00 90.15 90.00
Space group Cm (No. 8)
Symmetry-distinct sites (fractional):
Rb: 0.0000 0.0000 0.0000 (multiplicity 2)
Rb: 0.0336 0.5000 0.4809 (multiplicity 2)
In: 0.3011 0.5000 0.4240 (multiplicity 2)
Ge: 0.2391 0.5000 0.9357 (multiplicity 2)
Ge: 0.2434 0.0000 0.1989 (multiplicity 2)
Ge: 0.2984 0.0000 0.7057 (multiplicity 2)
Ge: 0.4285 0.5000 0.2941 (multiplicity 2)
As: 0.1236 0.5000 0.8074 (multiplicity 2)
As: 0.1522 0.0000 0.6876 (multiplicity 2)
As: 0.1739 0.5000 0.1108 (multiplicity 2)
As: 0.1959 0.0000 0.3830 (multiplicity 2)
As: 0.3264 0.0000 0.8982 (multiplicity 2)
As: 0.3642 0.5000 0.6242 (multiplicity 2)
As: 0.3886 0.0000 0.1780 (multiplicity 2)

Computed properties:
Magnetization in μB per formula unit: 0.00

=====

Density functional theory data (GGA-PBE) for a geometry-optimized ZnInGeAs3 structure.

a b c (Å): 13.7999 4.1676 5.8928
angles (deg): 90.00 115.14 90.00
Space group Cm (No. 8)
Symmetry-distinct sites (fractional):
Zn: 0.0000 0.0000 0.0000 (multiplicity 2)
In: 0.3342 0.0000 0.3210 (multiplicity 2)